Material.
{"formula": "C5H6O2", "method": "ωB97M-V with the def2-TZVPD basis set", "symbols": ["O", "O", "C", "C", "C", "C", "C", "H", "H", "H", "H", "H", "H"], "coordinates": [[0.3010, -0.9535, -1.6997], [-1.4211, -1.3863, 0.4498], [-1.4110, 0.9876, 0.0007], [-0.5974, -0.2439, 0.3985], [0.5272, -0.4586, -0.6138], [1.8718, -0.0967, -0.1917], [2.9820, 0.0923, 0.2384], [-1.8327, 0.8427, -0.9991], [-0.8011, 1.8982, 0.0028], [3.9697, 0.2476, 0.6159], [-2.2322, 1.1139, 0.7115], [-0.1564, -0.0967, 1.3916], [-1.1996, -1.9466, -0.3049]], "energy_ev": -9374.7899, "orbital_gap_ha": 0.3804, "smiles": "C#CC(=O)[C@@H](C)O", "fmax_ev_per_a": 0.64}

=====

[1]
Here is a structure of composition C28H35N5OsP2S at a distorted geometry from the Open Molecules 2025 dataset. Energies are from ωB97M-V with the def2-TZVPD basis set.

The geometry in XYZ format:
```
72
Properties=species:S:1:pos:R:3:mulliken_charge:R:1
Os -0.3932 1.6384 -4.3772 0.418
C -1.5352 1.6509 -6.0061 -0.701
C -1.1551 0.2730 -5.7346 0.210
C -0.2035 -0.4048 -6.6883 -1.647
C 1.1567 0.3477 -6.7275 -1.451
C 1.2387 1.3141 -5.5754 1.370
C 0.9146 2.7005 -5.4741 -1.006
C 0.1491 3.4372 -6.5526 -0.977
C -0.8965 2.4672 -7.1198 -0.804
C 0.3968 2.0854 -2.2849 -1.622
H -2.6082 1.8536 -5.8824 0.518
H -2.0066 -0.3655 -5.4829 1.135
H -0.7023 -0.3968 -7.6757 0.482
H -0.0515 -1.4685 -6.4351 0.542
H 1.9422 -0.4229 -6.6094 0.347
H 1.3292 0.7560 -7.7414 0.499
H 2.2024 1.1185 -5.0832 0.197
H 1.5380 3.2839 -4.7762 0.525
H 0.8552 3.8471 -7.2960 0.455
H -0.3652 4.2868 -6.0605 0.367
H -1.7178 3.0327 -7.5745 0.442
H -0.4511 1.7755 -7.8442 0.313
H -0.1066 3.0493 -2.0766 0.750
H 1.4689 2.2634 -2.1112 0.468
H 0.1006 1.3913 -1.4520 0.062
P 1.4004 -0.5428 -2.7051 -0.486
P -1.9852 -1.0392 -2.0893 0.631
N 3.2476 0.3068 -3.3571 0.619
N 2.2937 -1.5298 -1.7154 1.544
N -2.7188 0.3198 -2.8265 0.272
N -3.2250 -1.9835 -1.5162 0.474
C 0.4731 -1.8054 -3.6316 0.121
C -1.0469 -2.0075 -3.3040 -1.043
C 3.3531 1.6854 -3.4973 -0.288
C 4.5868 2.0450 -4.0300 -0.790
C 5.3225 0.8437 -4.1365 -0.766
C 4.4908 -0.1936 -3.7128 -0.507
C 3.1503 -0.9495 -0.7618 -0.757
C 3.9276 -1.9463 -0.2262 -0.637
C 3.5679 -3.1830 -0.8693 -0.853
C 2.5728 -2.9005 -1.7788 -0.453
C -1.9913 1.6432 -2.8914 -0.926
C -2.9270 2.5288 -3.5523 -1.015
C -4.0430 1.7995 -3.9513 -0.990
C -3.8487 0.4556 -3.6004 -0.156
C -4.5784 -2.1184 -1.8484 -0.229
C -5.1229 -3.1014 -1.0522 -0.673
C -4.0815 -3.5847 -0.1865 -0.605
C -2.9406 -2.8930 -0.4774 -0.463
H 0.9502 -2.7930 -3.6064 0.994
H 0.5641 -1.4659 -4.6751 -1.188
H -1.6009 -1.8902 -4.2542 0.621
H -1.2049 -3.0582 -2.9944 0.693
H 2.5617 2.3764 -3.2802 0.423
H 4.8685 3.0541 -4.2977 0.514
H 6.3544 0.7556 -4.4761 0.461
H 4.7330 -1.2572 -3.6231 0.509
H 3.0274 0.1041 -0.5439 0.365
H 4.6519 -1.7936 0.5598 0.516
H 3.9692 -4.1630 -0.6692 0.515
H 1.9866 -3.5515 -2.4104 0.414
H -1.7522 1.9861 -1.8807 0.951
H -2.7387 3.5940 -3.6525 0.523
H -4.9338 2.2002 -4.4286 0.490
H -4.4750 -0.3749 -3.8719 0.512
H -5.0337 -1.4989 -2.5937 0.334
H -6.1430 -3.4435 -1.0885 0.460
H -4.1736 -4.3584 0.5647 0.472
H -1.9466 -2.9020 -0.0491 0.468
S -1.2751 -0.1226 -0.3776 -0.181
C -0.0907 -1.0953 0.3467 0.636
N 0.7237 -1.6650 0.9659 -0.422
```

## Properties
**LUMO level (spin up / spin down)**: -6.62 / -8.59 eV
**Net charge**: +2
**ΔE to the lowest compared entry with this formula, charge and spin**: 4.7118 eV
**E_HOMO (spin up / spin down)**: -11.2 / -14.0 eV
**Frontier orbital gap (spin up / spin down)**: 4.60 / 5.44 eV
**2S+1**: 5
**Strongest force on any atom**: 6.28 eV/A

***

[2]
Here is a structure of composition C55H55F3I2NbO3 at a distorted geometry from the Open Molecules 2025 dataset. Energies are from ωB97M-V with the def2-TZVPD basis set.

The geometry in XYZ format:
```
119
Properties=species:S:1:pos:R:3:mulliken_charge:R:1
O 8.7309 0.8875 -1.2174 -0.501
C 7.9246 0.3608 -0.2919 0.172
I 8.6259 -1.3148 1.0056 -0.079
C 6.3775 0.8404 -0.0388 -0.474
Nb 5.2945 1.6165 -1.8962 -0.883
C 5.3226 -0.3996 -2.9532 -0.471
C 5.6865 -1.6865 -2.0068 0.225

Job.
Work out how many lines above have the word "CC" in them; a number is enough.

Reply.
1